Now that's a Marvelâ„¢ Universe
Now that's a Marvel™ Universe
At least shop him onto the thumbs up yellow m&m with sunglasses, you lazy, meme forcing fuck
>despite the genre's rich history of creativity and diversity
you lost me there, DCuck
Stop stealing aesthetics.
No that meme sucks.
Proof that MCUck are no older than 15. You don't even need to look past Marvel.
>and despite all of this you somehow still shit out better superhero movies than Zack Snyder
Made because the Mark Hamill ones upset the Mouseshill. Don't throw rocks in glass house.
>capeshit is a genre
>superhero films aren't a genre
Are you going to say sci-fi isn't a genre either?
How do Mouseshills defend the death of creativity? Do they even enjoy film past the point of Disney's minimum wage salary?
>Complaining about stale films when audiences keep watching it all the same
They're just giving the audience what they want. Kids and adults alike. So long as we get our Deadpool's and Logan's though, I don't see what reason you have to get triggered.
They have conditioned the audience into this shit for a decade now to the point where it's pretty much impossible for an Marvel movie to diverge from their very tiresome formula. Marvel movies used to be pretty diverse, ranging from Spider-Man to Hulk to Iron Man, now with everything under Disney, it's all the same shit, barely distinguishable at all. No magic. No creativity. Just assembly-line movies pumped out at a rate that would make TV producers jealous. Enough. After 15 fucking movies of the same shit, enough.
Superheros are science fiction.
They are more fantasy than science-fiction. Or atleast depending on the superhero. A superhero like Aquaman or Spider-Man isn't even sci-fi. It's more fantasy.
I don't know much about Aquaman, but Spiderman has a scientifically explained origin story hence science fiction.
Ok Spidey was a bad example. What about Dr Strange, Wonder Woman, Spawn and so on?
The sci-fi is usually just a justification for having someone with superpowers exist in a world of normal people.
CW better than BvS?
lol. thanks i needed a good laugh
Consequence of the multiverse which can be boiled down to fictionalized science.
Damn, user, you're even funnier than him. We got some real comedians posting in this thread. You all should consider standup.
Do people honestly defend CW or is it all just ironic shilling?
Is it really that suprising that the greatest comic book movie every created should be a figure of controversy?
Not really, as they say in the movie "people fear what they can't understand"
Damn I love this line.
The real reason is financial, as I already explained in another thread. You see, WB can afford to take risks and so far they have paid off: they don't have flops, make a decent buck out of their capeshit and if it gets too hard to get real talent to work in kids movies, they can just stop making them and that would be that. As long as there are more money in than money out, everything is fine.
Marvel and Star Wars are different. They literally can't stop shitting out movies and they ALL need to be succesful, they have additional pressure on them, because those franchises weren't organically created by Disney but bought from someone else. According to the financial information we know from these capeshit movies, excluding outliers like Deadpool most of them make around $150 million in net profit all things considered. Make that double for Star Wars flicks, but also consider you can't shit out as many SW movies a year. When WB gets $150 millions for Suicide Squad or BvS, they cash the money, shake the hands of the shareholders and go on to do whatever new drug the execs enjoy these days. Disney on the other hand has to recoup an investment of 4 billions a pop for those franchises, $150 millions at a time. They literally can't afford to make anything new or to take any risk at all. That's why they fired Wright from fucking Ant-Man and made it the most generic, forgettable movie in that already generic and forgettable franchise, because without the $100m from that flick made they would have broken the stride and people would get nervous.
>b-but muh toys
Not as profittable as you think. Disney is closer to recoup their investment with Star Wars than Marvel, but they aren't there yet for neither
It's been 10 years and they're still in red? I guess for these people it's more about control than anything. Control vital IPs. Control characters. So the competition won't get hold of them and destroy you with it.
Still, Lucas sold SW below its value. He could've gotten a few billion more if he was jewish and didn't allow himself to be fooled by Kathleen Kennedy's mind tricks.
>Not as profittable as you think. Disney is closer to recoup their investment with Star Wars than Marvel, but they aren't there yet for neither
It's a $20 billion industry m8, don't even pretend it doesn't bring it a lot of dollars
I- I enjoyed Antman, user-kun... guess I'm a pleb...
But insults aside, can someone give me (with specific examples) the reasons why you all say that all marvel movies are the same/follow the same formula? Which formula is this?
I get that it's how the meme works, but these run-on sentences are just too much of a chore to read
i doubt he cared, just didnt want to be in charge of star wars anymore.
lol look at those marvel villians. marvel truly is owned by disney
Thank you. Now I understand it.
>OP tries to steal the limelight from the other user that's been posting actual educational meme-kino
>I- I enjoyed Antman, user-kun... guess I'm a pleb...
I didn't say it was bad, none of the MCU movies are bad per se. They aren't good either
Yeah but gross=/=net. Marvel merch sold around 4 billions in 2016, take Spiderman and X-Men off that number and then start detracting production, distribution and promotion costs. There is a reason you don't see studios buying franchises very often, it's not that great of an investment
Doesn't all non-movie Spider-man and X-Men stuff still go to Disney? Also it's not like they aren't making money from the things that they don't directly make themselves
No. In the Marvel v Capcom videogame, they're not allowed to use X-Men because it's owned by Fox.
Disney also had to swindle Bandai with the Star Wars plastic model kits too
You know this movie flopped because the action sequences looked weird. They stopped letting the directors doing action sequences after this one.
Which is funny because all DC movies look the same too.
I finally realized why I'm not a fan of marvel movies. Outside of pilot movies like Iron Man and Captain America, everything just feels like filler for the next one and there's rarely a sense of satisfaction. Thor was especially bad about this. Like the Winter Soldier did almost nothing in the end but introduce black wingman and establish Caps buddy is still alive. Shield is still there, every major character is still alive, ect.
I enjoyed the fight with the mutant dogs and desert tanks. It's bullshit that Ang Lee doesn't know how to direct action. He made fucking Hero.
not a marvel fan but you are simplifying too much
but it's true that at the end every movie has basically the same story and the fucking quips
3 movies so far
each one radically different to the other ones
Whoever wrote this sounds angry as fuck tbqh
Iron Man 3 could fit on the left side but I'm the only one that liked it.
Marvel needs to reinvent itself.
I think you're clearly missing the meta narrative that makes it obvious it's just shitposting. The whole point of the image is to illustrate how obtuse the arguments made in favor of DC and against Marvel are. That image is making fun of people who defend DC if anything
Keep telling yourself that friendo
>Dr strange is Sci-Fi
>not fantasy
i honestly prefer dc, so i might be biased
## Next to the entry, the page also holds crystal structures
'''
Diffraction record for HgO. The X-ray diffraction stick pattern is theoretical, not measured: it uses a DFT-relaxed cell (GGA-PBE, the Materials Project) and copper Kα.

Largest 12 diffraction maxima, low angle first, 2θ = 5–70°:
2θ = 28.51°, d 3.131, intensity 78, (0 1 2)
2θ = 30.69°, d 2.913, intensity 100, (0 2 0)
2θ = 35.62°, d 2.520, intensity 25, (2 0 -2)
2θ = 36.38°, d 2.470, intensity 24, (2 0 2)
2θ = 47.73°, d 1.905, intensity 22, (2 2 -2)
2θ = 48.33°, d 1.883, intensity 22, (2 2 2)
2θ = 53.26°, d 1.720, intensity 14, (0 3 2)
2θ = 54.55°, d 1.682, intensity 20, (4 0 0)
2θ = 58.46°, d 1.579, intensity 12, (2 1 -4)
2θ = 59.01°, d 1.565, intensity 10, (0 2 4)
2θ = 59.50°, d 1.554, intensity 12, (2 1 4)
2θ = 63.90°, d 1.457, intensity 15, (0 4 0)

Crystal structure
```
HgO
1.0
6.7364 0.0000 0.0000
0.0000 5.8221 0.0000
-0.1515 0.0000 7.4269
Hg O
8 8
Cartesian
0.7104 1.4555 2.8071
0.6861 1.4555 6.5060
2.5336 4.3666 0.8735
2.5069 4.3666 4.5844
4.0781 1.4555 2.8425
4.0513 1.4555 6.5534
5.8988 4.3666 0.9209
5.8745 4.3666 4.6198
0.8633 4.3666 2.0895
0.8335 4.3666 5.7950
2.3771 1.4555 4.0219
2.4980 1.4555 0.3004
4.0870 4.3666 7.1265
4.2079 4.3666 3.4050
5.7515 1.4555 1.6319
5.7217 1.4555 5.3374
```

=====

1.
Computed XRD peak list
Compound: Na4Sn
Radiation: Cu Kα (λ = 1.5418 Å)
Structure: DFT lattice parameters and positions (GGA-PBE)
Neutral-atom scattering factors, no anomalous dispersion.

Atomic structure:
Cell lengths 9.6623, 5.5377, 6.3933 Å; angles 90.00, 121.26, 90.00 degrees
Space group C2/m (No. 12)
Symmetry-distinct sites (fractional):
Na1 0.1135 0.0000 0.3381 x4
Na2 0.1993 0.5000 0.0946 x4
Sn1 0.0000 0.5000 0.5000 x2

Top 10 peaks for 2θ = 5–70°, most intense first:
two_theta	I_rel
32.15	100
32.93	91
19.30	70
16.22	60
32.33	49
21.35	45
33.30	44
19.06	37
57.57	36
36.41	34

***

2.
Computed XRD peak list
Compound: Na3Sn5
Radiation: Cu Kα (λ = 1.5418 Å)
Structure: DFT lattice parameters and positions (GGA-PBE)
Neutral-atom scattering factors, no anomalous dispersion.

Atomic structure:
Cell lengths 4.8392, 4.8392, 18.2702 Å; angles 90.00, 90.00, 90.00 degrees
Space group I-4m2 (No. 119)
Symmetry-distinct sites (fractional):
Na1 0.0000 0.0000 0.0000 x2
Na2 0.0000 0.5000 0.1262 x4
Sn1 0.0000 0.0000 0.2437 x4
Sn2 0.0000 0.0000 0.5000 x2
Sn3 0.0000 0.5000 0.6209 x4

Top 10 peaks for 2θ = 5–70°, most intense first:
two_theta	I_rel
32.70	100
37.16	36
64.19	30
55.31	22
18.97	20
23.48	19
39.46	15
53.56	13
68.53	12
67.31	12
'''
but i liked marvel too
i just want them to try new things, and i hate to see a new marvel movie comming out every 3 months
it ignores that both are shit. DC is not above marvel in anyway. It's horseshit Vs. Bullshit. DC is tryhard "baby's first existential crisis"
>DC is not above marvel in anyway
In every way possible you mean.
Why change a winning formula? Sure there movies have to many quips and are too light, but they're raking in money in addition to being highly rated so from a company stand point it's a great model.
You might want to stick with Zack "make everything dark like Batman" Snyder.
And the new DC villains have been better? They've all been shit so far.
>And the new DC villains have been better?
Objectively yes
Nobody is doubting their ability to make money. We're doubting their ability to make good film.
>And the new DC villains have been better?
Yes. Also when DC does female villain it actually feels natural and not forced pandering.
A good death....
The multiverse comes straight from science, magic is just science that isn't fully understood.
i understand what you say
maybe i'm just mad at the modern philosophy of money>quality
and i feel like dc is at least trying to deviate a bit from that
Lol sure m8
thought that was norm macdonald for a sec
Marvel has it right.
Capeflicks aren't supposed to be deep.
With the exception of Watchmen because it's Alan Moore.
That the movies are making money AND are both critically and audience acclaimed makes them good movies. If the movies were getting ripped to shreds by the critics and audience then you might have a point. But they're not, so you don't.
Critics are a minority. They are no authority on anything. They've fucked up so many times in the past they should never be valued higher than independent thinking.
As for box-office and audience reception, I heard that new Fast Furious movie is breaking all kinds of records. Is it a high mark in filmmaking never achieved before? Or what's your point?
Autistic faggot who pees in girls drink.
Mindless monster.
Campy as fuck sociopath.
horrible actress.
So far DC is 4 for 5. Zod was the only good villain. Marvel has pretty much the same track record.
Name me one MCU villain coming close to Zod and Faora. Just one.
Nah. You just aren't smart enough to understand anything deep or meaningful. You're the perfect marvel fan.
>lol orange slices hurrr durrr
All 3 factoirs for judging the quality of a movie (without having seen it yourself) are all saying it's a good movie. That's my fucking point you retard. You're saying that what the public, what the critics, what the money are saying doesn't mean shit. That the only opinion that matters is yours and yours alone. When in fact they are objectively good (for the most part).
Ha makes c list heroes great again,
Your Trinity OF DC is a shit.
I argue for individual thinking instead of relying on external outlets to validate my taste.
Is Avatar also the greatest film of all time that changed cinema forever?
Not really.
Red Skull.
>Is Avatar also the greatest film of all time that changed cinema forever?
Then perhaps you shouldn't say "we're doubting their ability to make a great film" and say "I'm doubting their ability..."
Because the majority has spoken. They're good movie (for the most part).
>Because the majority has spoken
The majority also like Transformers and Fast Furious films. But something tells me you're not as inclined to give them the same benefit you give Marvel.
Not true. As most of them don't have all 3. Money, Audience Score, Critical Reception. If they're making money and both the critics and the audience love it. Then it's objectively good.
The issue wasn't Feige. It was the head of Marvel that was causing issues, and pissing off directors left and right (and fucking him budgeting).
Feige finally said that he was going to walk, and Disney said "fuck that" because they like money, and said Feige and Marvel Studios no longer have to answer to the head of Marvel.
Age of Ultron was filmed during that power struggle.
Didn't I tell you to stop making these unfunny meme images? And you said you would OP. Why did you lie? Why are you still doing this? It's not funny, it's not insightful, and it's just plain cringeworthy.
At the end of the day, this whole website is just one big contrarian shitpile. That's really all that needs to be said.
That's hardly something to brag about.
Shield got torn apart and no longer exists, at least as far as the characters know. Fury fucked off to hunt HYDRA agents and nobody from the TV show has told anyone else SHIELD is being reformed.
Even the reformation of SHIELD didn't happen for like two seasons of the TV show, before that they were being chased by the government.
Like Reddit isn't?
>Complaining when they're making ppl addicted
>Unironically thinking you are smarter than (((marvelplebs)
You are stupid as a fucking rat user
DC films are not misunderstood, they are just bad, when critics, reviewers and audiences say "Why did this happen for no reason??" They understood, it's a rethorical question, they are questioning the decisions on the filmmaking, they are not questioning their own understanding
1= Bad
10= Good
Audience is 4 points
Money is 3 points
Critics are 3 points
Audiences like them a lot: 3.5/4
Critics like them a lot: 2.5/3
Makes a lot of money: 3/3
Audiences divided: 2/4
Critics divided: 1.5/3
Financially underperform: 2.5/3
Audiences dislike it: 1/4
Critics hate it: 0.5/3
Makes a lot of money: 3/3
Audiences like it: 3/4
Critics are divided: 1.5/3
Makes a lot of money: 3/3
(This is not a comparison, it's just a representation of the other user's point, if you agree or not, fuck off.)
i have no stake in this comic book faggotry
the dc movies all looked the same in a different way, but it was still there, that is mostly on snyder though. dc definitely looks better but marvel has some movies that are actually entertaining. first supes was ok, batman vs superman and suicide squad were awful.
But it's ridiculously better than BVS. Then again, the shit I just took is better than that trash
to latch back onto this, tdk is the only capeshit movie that is actually good. and that is only good because of heath ledger. if he didn't do that movie he might still be alive (simply because of different timeline not muh joker made him depressed) so ultimately as far as im concerned all capeshit movies are cancer that should be chemo'd.
This is true?
I heard he hates actresses with muscles, and we'll never see actresses like Jessica Biel in MCU
I remember watching a pirated version of this when it first came out, very good quality until he hulked out, then hulk was a solid no shadow green and he didn't have pants.
Ill defend season 1 arrow and season 3 smallville
>oppressive force to creativity and talent
And you retards have the gall to pretend snyderlards aren't out of their mind.
Also what's with the facebook memes lately? Why not just post the text on the OP?
Hello Rèddit
>muh Alan Moore
Fuck you.
yeah and then the c-rate television directors end up making better movies than every DCEU movie put together real weird that huh bro
Keep telling yourself that while pretending you are enjoyed by CW's CGI grey airports
I can't name one marvel movie that is better. Unless you count pre-disney marvel.